Please write out the lines further below from the first line to the one with "0.6033)" verbatim.
Calculated PXRD pattern of Fe2CuO4 for a wavelength of 1.5418 Å, from a cell relaxed with PBE+U.
No peak broadening, texture or thermal motion is included.

Top 10 peaks for 2θ from 10° to 90°, by angle:
Position (°2θ)  Rel. int.
29.58  17.6
29.78  34.2
34.88  100.0
35.23  50.8
42.33  15.3
52.61  12.3
55.97  31.1
56.70  14.4
61.40  22.1
61.86  43.4

abc: 5.9999 5.9999 5.9999
angles: 119.56 119.56 90.77
Element x y z (fractional)
Fe (0.0000, 0.0000, 0.0000)
Fe (0.0000, 0.0000, 0.5000)
Fe (0.0000, 0.5000, 0.0000)
Fe (0.5000, 0.0000, 0.5000)
Cu (0.3750, 0.6250, 0.7500)
Cu (0.6250, 0.3750, 0.2500)
O (0.2195, 0.2417, 0.9778)
O (0.2361, 0.7583, 0.4778)
O (0.2417, 0.2195, 0.4778)
O (0.2417, 0.7639, 0.0222)
O (0.7583, 0.2361, 0.9778)
O (0.7583, 0.7805, 0.5222)
O (0.7639, 0.2417, 0.5222)
O (0.7805, 0.7583, 0.0222)

***

Calculated PXRD pattern of Li6Cr3CuP6O24 for a wavelength of 1.5418 Å, from a cell relaxed with PBE+U.
No peak broadening, texture or thermal motion is included.

Top 10 peaks for 2θ from 10° to 90°, by angle:
Position (°2θ)  Rel. int.
14.51  29.9
20.34  44.3
20.83  84.2
24.11  100.0
24.20  49.9
29.32  31.1
31.61  30.1
33.08  29.9
33.21  26.7
35.62  36.9

abc: 8.5091 8.5390 8.5497
angles: 61.44 61.58 61.60
Element x y z (fractional)
Li (0.0000, 0.0000, 0.0000)
Li (0.0906, 0.9340, 0.5004)
Li (0.1821, 0.4574, 0.3609)
Li (0.3549, 0.7886, 0.1400)
Li (0.5495, 0.6395, 0.8126)
Li (0.8097, 0.2986, 0.6505)
Cr (0.4740, 0.9332, 0.2890)
Cr (0.6943, 0.1512, 0.5069)
Cr (0.9766, 0.4350, 0.7962)
Cu (0.1879, 0.6403, 0.9996)
P (0.0847, 0.2459, 0.1976)
P (0.2906, 0.0422, 0.6854)
P (0.3838, 0.5397, 0.6033)
P (0.5880, 0.3274, 0.1102)
P (0.7850, 0.8403, 0.9021)
P (0.8750, 0.7534, 0.4046)
O (0.0263, 0.2866, 0.0359)
O (0.0598, 0.7482, 0.2298)
O (0.0927, 0.1923, 0.7334)
O (0.1380, 0.4047, 0.1787)
O (0.2183, 0.4821, 0.6478)
O (0.2427, 0.0505, 0.2149)
O (0.2956, 0.8688, 0.8720)
O (0.2993, 0.9959, 0.5280)
O (0.3696, 0.5866, 0.7650)
O (0.3756, 0.7142, 0.4213)
O (0.4172, 0.5159, 0.1118)
O (0.4531, 0.1060, 0.6320)
O (0.5346, 0.1674, 0.1387)
O (0.5781, 0.3873, 0.5677)
O (0.5960, 0.8517, 0.0645)
O (0.6646, 0.2837, 0.2596)
O (0.7005, 0.7939, 0.3662)
O (0.7352, 0.3695, 0.9079)
O (0.7706, 0.0302, 0.7371)
O (0.8251, 0.6764, 0.8451)
O (0.8575, 0.9020, 0.4700)
O (0.9117, 0.5520, 0.5539)
O (0.9323, 0.2122, 0.3964)
O (0.9483, 0.8192, 0.9525)

***

Calculated PXRD pattern of LiCoBO3 for a wavelength of 1.5418 Å, from a cell relaxed with PBE+U.
No peak broadening, texture or thermal motion is included.

Top 10 peaks for 2θ from 10° to 90°, by angle:
Position (°2θ)  Rel. int.
15.42  42.2
21.29  97.0
22.72  41.4
22.90  63.7
28.99  79.8
29.65  31.3
31.14  100.0
34.80  52.2
35.64  44.2
41.77  32.4

abc: 5.0399 5.0445 6.3608
angles: 67.68 69.07 61.53
Element x y z (fractional)
Li (0.1426, 0.2571, 0.1561)
Li (0.8574, 0.7429, 0.8439)
Co (0.2455, 0.1451, 0.6752)
Co (0.7545, 0.8549, 0.3248)
B (0.4320, 0.5705, 0.2470)
B (0.5680, 0.4295, 0.7530)
O (0.1707, 0.8400, 0.2320)
O (0.2801, 0.4201, 0.8093)
O (0.4068, 0.2802, 0.3198)
O (0.5932, 0.7198, 0.6802)
O (0.7199, 0.5799, 0.1907)
O (0.8293, 0.1600, 0.7680)

***

Calculated PXRD pattern of Mg2Ta2CrO8 for a wavelength of 1.5418 Å, from a cell relaxed with PBE+U.
No peak broadening, texture or thermal motion is included.

Top 10 peaks for 2θ from 10° to 90°, by angle:
Position (°2θ)  Rel. int.
15.33  53.7
18.28  100.0
23.06  67.7
26.08  40.2
26.26  38.7
26.67  47.9
32.62  38.1
34.24  85.2
34.38  49.4
50.69  45.7

abc: 5.2193 6.0565 10.1510
angles: 106.94 91.48 90.20
Element x y z (fractional)
Mg (0.0000, 0.0000, 0.0000)
Mg (0.0125, 0.5472, 0.0923)
Mg (0.4996, 0.2874, 0.0006)
Mg (0.5121, 0.8345, 0.0931)
Ta (0.0198, 0.1368, 0.3097)
Ta (0.4924, 0.6967, 0.7837)
Ta (0.5206, 0.4589, 0.3097)
Ta (0.9916, 0.3766, 0.7836)
Cr (0.0034, 0.7662, 0.5473)
Cr (0.5035, 0.0687, 0.5470)
O (0.1297, 0.2563, 0.9310)
O (0.1712, 0.9895, 0.4284)
O (0.1919, 0.4482, 0.3966)
O (0.2052, 0.7079, 0.9211)
O (0.3062, 0.1253, 0.1717)
O (0.3212, 0.3831, 0.6961)
Calculated PXRD pattern of Fe2CuO4 for a wavelength of 1.5418 Å, from a cell relaxed with PBE+U.
No peak broadening, texture or thermal motion is included.

Top 10 peaks for 2θ from 10° to 90°, by angle:
Position (°2θ)  Rel. int.
29.58  17.6
29.78  34.2
34.88  100.0
35.23  50.8
42.33  15.3
52.61  12.3
55.97  31.1
56.70  14.4
61.40  22.1
61.86  43.4

abc: 5.9999 5.9999 5.9999
angles: 119.56 119.56 90.77
Element x y z (fractional)
Fe (0.0000, 0.0000, 0.0000)
Fe (0.0000, 0.0000, 0.5000)
Fe (0.0000, 0.5000, 0.0000)
Fe (0.5000, 0.0000, 0.5000)
Cu (0.3750, 0.6250, 0.7500)
Cu (0.6250, 0.3750, 0.2500)
O (0.2195, 0.2417, 0.9778)
O (0.2361, 0.7583, 0.4778)
O (0.2417, 0.2195, 0.4778)
O (0.2417, 0.7639, 0.0222)
O (0.7583, 0.2361, 0.9778)
O (0.7583, 0.7805, 0.5222)
O (0.7639, 0.2417, 0.5222)
O (0.7805, 0.7583, 0.0222)

***

Calculated PXRD pattern of Li6Cr3CuP6O24 for a wavelength of 1.5418 Å, from a cell relaxed with PBE+U.
No peak broadening, texture or thermal motion is included.

Top 10 peaks for 2θ from 10° to 90°, by angle:
Position (°2θ)  Rel. int.
14.51  29.9
20.34  44.3
20.83  84.2
24.11  100.0
24.20  49.9
29.32  31.1
31.61  30.1
33.08  29.9
33.21  26.7
35.62  36.9

abc: 8.5091 8.5390 8.5497
angles: 61.44 61.58 61.60
Element x y z (fractional)
Li (0.0000, 0.0000, 0.0000)
Li (0.0906, 0.9340, 0.5004)
Li (0.1821, 0.4574, 0.3609)
Li (0.3549, 0.7886, 0.1400)
Li (0.5495, 0.6395, 0.8126)
Li (0.8097, 0.2986, 0.6505)
Cr (0.4740, 0.9332, 0.2890)
Cr (0.6943, 0.1512, 0.5069)
Cr (0.9766, 0.4350, 0.7962)
Cu (0.1879, 0.6403, 0.9996)
P (0.0847, 0.2459, 0.1976)
P (0.2906, 0.0422, 0.6854)
P (0.3838, 0.5397, 0.6033)